THREE PROPOSAL INSIGHTS - list started S17 / last updated for S'21


  These three important tips were generated after reading the proposal submissions. They are based on  things I noticed while seeing similar factors in several of the papers;  therefore, they are applicable to most of you.  Everyone in this seminar is somewhere within the process of  collecting, analyzing, and  warranting your data. Although some of these comments below originated in reference to specific methodologies, the principles mentioned also are helpful in the broad sense.




1. SURVEY is a broad, "umbrella" term for a methodological approach that uses the question as the primary technique. Four of the most commonly used instruments  that might pertain to this class are the Questionnaire, the In-depth Interview, The Focus Group, and the Poll.   Since the goal is to ask the question(s) of a REPRESENTATIVE sample of a larger population, investigators using this approach need to be very mindful of how they phrase the questions and sequence the questions in their instrument (whether it is a questionnaire, an open-ended interview, a poll, etc.). An  investigator using this discovery-based approach is operating with the premise that THE-MICRO-REFLECTS-THE-MACRO




2. An ABSTRACT is an up-front summary of the document  the reader is about to read.  That is why it is recommended to complete the document  first (e.g.  proposal, research report, critical essay)  and then write the abstract to serve as a "snapshot" of te paper to come.  Although I understand why many of you wrote your proposal abstracts as future tense , how-to statements, be sure to model your final Thesis abstracts after the style you see in actual, journal articles (which are usually a grammatically correct blend of past tense and present tense.) If possible, there might be an additional class activity based on writing abstracts.





3. Although the returned proposals include many annotations & questions from your professor, your goal now is keep moving forward -- keeping my comments in mind as you finalize the structure of your argument (i.e. your "Toulmin") Many of you wrote that your validity would come from being ethical, honest researchers who had used credible sources for your literature review section. These things can be part of the test for validity but by themselves, they do not equal validity.  The same nice-but-n.a. exists when you assert that you are striving  to be honest and ethical with your participants. As you write your various rationales throughout your  final paper, you need to connect-the-dots  in an explicit way to PROVE that the investigation you carried out adhered to all the principles of validity-- which actually means that your study has avoided such threats as bias, misleading statistics, investigator subjectivity, inappropriate sampling , too small sample, unreliable coding etc. , etc.  


Reliability [a.k.a external validity]  is a nice goal too, but many of you have relatively small samples so it might be difficult to generalize your results as broadly as you would like to for "real world" original studies. It's appropriate to acknowledge such a reservation/limitation in your  paper's Conclusion section.  Be sure to re-read the definitions  of "validity" & reliability" in your textbook (especially Chapter 4th ed //Chap 6, 3rd ed).

• Unrelated to this article: calculated crystals:
Entry 1:
Computed X-ray diffraction stick pattern of Sm3Ni7B2 for λ = 1.5418 Å (Cu Kα), from DFT lattice parameters and positions (GGA-PBE).
Kinematic intensities with the Lorentz-polarization factor, no thermal factor.

Structural model:
```
data_Sm3Ni7B2
_cell_length_a 7.1935
_cell_length_b 5.2522
_cell_length_c 9.0771
_cell_angle_alpha 90.00
_cell_angle_beta 90.00
_cell_angle_gamma 90.00
_symmetry_space_group_name_H-M 'A m m 2'
_symmetry_Int_Tables_number 38
loop_
_symmetry_equiv_pos_as_xyz
'x,y,z'
'-x,-y,z'
'-x,y,z'
'x,-y,z'
'x,y+1/2,z+1/2'
'-x,-y+1/2,z+1/2'
'-x,y+1/2,z+1/2'
'x,-y+1/2,z+1/2'
loop_
_atom_site_label
_atom_site_type_symbol
_atom_site_fract_x
_atom_site_fract_y
_atom_site_fract_z
Sm1 Sm 0.0000 0.0000 0.0000
Sm2 Sm 0.0000 0.0000 0.3335
Sm3 Sm 0.5000 0.0000 0.0000
Ni1 Ni 0.0000 0.0000 0.6667
Ni2 Ni 0.3109 0.0000 0.5047
Ni3 Ni 0.3110 0.2429 0.7476
B1 B 0.5000 0.0000 0.3333
B2 B 0.5000 0.0000 0.6667
```

Top 6 peaks for 10° ≤ 2θ ≤ 90°, low angle first:
two_theta, d_spacing, intensity, index
31.73, 2.820, 43, 2 1 1
34.18, 2.623, 34, 0 2 0
36.46, 2.464, 22, 1 2 0
39.67, 2.272, 47, 0 2 2
42.66, 2.120, 100, 2 2 0
62.63, 1.483, 23, 4 2 0

Entry 2:
Computed X-ray diffraction stick pattern of FeMo3As4 for λ = 1.5418 Å (Cu Kα), from DFT lattice parameters and positions (GGA-PBE).
Kinematic intensities with the Lorentz-polarization factor, no thermal factor.

Structural model:
```
data_FeMo3As4
_cell_length_a 5.9981
_cell_length_b 3.3606
_cell_length_c 6.3908
_cell_angle_alpha 90.00
_cell_angle_beta 90.19
_cell_angle_gamma 90.00
_symmetry_space_group_name_H-M 'P 1 m 1'
_symmetry_Int_Tables_number 6
loop_
_symmetry_equiv_pos_as_xyz
'x,y,z'
'x,-y,z'
loop_
_atom_site_label
_atom_site_type_symbol
_atom_site_fract_x
_atom_site_fract_y
_atom_site_fract_z
Fe1 Fe 0.0000 0.0000 0.0000
Mo1 Mo 0.4815 0.5000 0.5034
Mo2 Mo 0.4982 0.0000 0.1315
Mo3 Mo 0.9749 0.5000 0.6231
As1 As 0.1794 0.0000 0.3860
As2 As 0.2844 0.5000 0.8878
As3 As 0.6808 0.0000 0.7573
As4 As 0.8029 0.5000 0.2364
```

Top 6 peaks for 10° ≤ 2θ ≤ 90°, low angle first:
two_theta, d_spacing, intensity, index
31.72, 2.821, 38, 1 0 -2
33.64, 2.664, 74, 1 1 1
41.81, 2.160, 67, 1 1 -2
42.82, 2.112, 100, 2 1 -1
50.74, 1.799, 32, 0 1 3
54.62, 1.680, 29, 0 2 0

Entry 3:
Computed X-ray diffraction stick pattern of Y2ScN3 for λ = 1.5418 Å (Cu Kα), from DFT lattice parameters and positions (GGA-PBE).
Kinematic intensities with the Lorentz-polarization factor, no thermal factor.

Structural model:
```
data_Y2ScN3
_cell_length_a 5.9380
_cell_length_b 10.6751
_cell_length_c 12.0124
_cell_angle_alpha 90.00
_cell_angle_beta 97.30
_cell_angle_gamma 90.00
_symmetry_space_group_name_H-M 'C 1 2/c 1'
_symmetry_Int_Tables_number 15
loop_
_symmetry_equiv_pos_as_xyz
'x,y,z'
'-x,-y,-z'
'-x,y,-z+1/2'
'x,-y,z+1/2'
'x+1/2,y+1/2,z'
'-x+1/2,-y+1/2,-z'
'-x+1/2,y+1/2,-z+1/2'
'x+1/2,-y+1/2,z+1/2'
loop_
_atom_site_label
_atom_site_type_symbol
_atom_site_fract_x
_atom_site_fract_y
_atom_site_fract_z




bonus tip:  Library Resources section in your Blackboard should now contains an active link to the 2 chapters by Frey, et. al.  READ THEM asap! One of these chapters summarizes the six(6)  components of the standard Research Report [i.e. the write up of a completed investigative study] . The other chapter will be used to complete one of your advance questions for the upcoming  "mid"(3/4) term exam.  Please let me know if those links are not working.  (The Midterm test study sheet will be  linked to course calendar & to a shortcut on my main page)